
Concord – Your Self-Service Loan Servicing Solution

What comes next are calculated crystals, not part of the piece >
/*
Entry from Materials Project: a relaxed structure of Ca7B14Rh20 (PBE-GGA).

Lattice parameters (Å, degrees): 20.8764 20.4901 5.6237 86.11 78.30 15.59
With the nearest neighbours (Å) after each atom.
Fractional positions:
Rh 0.1803 0.1803 0.3197  4 B 2.18-2.21
Rh 0.3917 0.3917 0.1083  4 B 2.18
Rh 0.8193 0.8193 0.1807  4 B 2.14-2.20
Rh 0.8197 0.8197 0.6803  4 B 2.18-2.21
Rh 0.4640 0.4640 0.0360  4 B 2.18-2.19
Rh 0.8917 0.8917 0.6083  4 B 2.18
Rh 0.0360 0.0360 0.4640  4 B 2.18-2.19
Rh 0.1083 0.1083 0.3917  4 B 2.18
Rh 0.2500 0.2500 0.2500  4 B 2.13
Rh 0.0360 0.0360 0.9640  4 B 2.18-2.19
Rh 0.6083 0.6083 0.8917  4 B 2.18
Rh 0.8920 0.8920 0.1080  4 B 2.18-2.19
Rh 0.9640 0.9640 0.0360  4 B 2.18-2.19
Rh 0.5360 0.5360 0.9640  4 B 2.18-2.19
Rh 0.9640 0.9640 0.5360  4 B 2.18-2.19
Rh 0.1807 0.1807 0.8193  4 B 2.14-2.20
Rh 0.1080 0.1080 0.8920  4 B 2.18-2.19
Rh 0.6803 0.6803 0.8197  4 B 2.18-2.21
Rh 0.3197 0.3197 0.1803  4 B 2.18-2.21
Rh 0.7500 0.7500 0.7500  4 B 2.13
B 0.9448 0.6222 0.3778  5 Rh 2.13-2.21
B 0.6222 0.9448 0.0552  5 Rh 2.13-2.21
B 0.6891 0.0223 0.9777  6 Rh 2.18-2.20
B 0.8337 0.1663 0.8337  6 Rh 2.18
B 0.9058 0.2386 0.7614  6 Rh 2.18-2.19
B 0.0942 0.7614 0.2386  6 Rh 2.18-2.19
B 0.0552 0.3778 0.6222  5 Rh 2.13-2.21
B 0.7614 0.0942 0.9058  6 Rh 2.18-2.19
B 0.2386 0.9058 0.0942  6 Rh 2.18-2.19
B 0.3778 0.0552 0.9448  5 Rh 2.13-2.21
B 0.9777 0.3109 0.6891  6 Rh 2.18-2.20
B 0.1663 0.8337 0.1663  6 Rh 2.18
B 0.0223 0.6891 0.3109  6 Rh 2.18-2.20
B 0.3109 0.9777 0.0223  6 Rh 2.18-2.20
Ca 0.6465 0.6465 0.3535  2 Ca 2.99-3.07, 12 Rh 3.12-3.21, 6 B 3.24-3.25
Ca 0.2778 0.2778 0.7222  6 B 2.95-3.22, 10 Rh 3.03-3.29, 1 Ca 3.07
Ca 0.3535 0.3535 0.6465  2 Ca 2.99-3.07, 12 Rh 3.12-3.21, 6 B 3.24-3.25
Ca 0.7222 0.7222 0.2778  6 B 2.95-3.22, 10 Rh 3.03-3.29, 1 Ca 3.07
Ca 0.4271 0.4271 0.5729  2 Ca 2.96-2.99, 12 Rh 3.14-3.19, 6 B 3.23-3.25
Ca 0.5729 0.5729 0.4271  2 Ca 2.96-2.99, 12 Rh 3.14-3.19, 6 B 3.23-3.25
Ca 0.5000 0.5000 0.5000  2 Ca 2.96, 12 Rh 3.16-3.17, 6 B 3.23-3.26

As for the space group: Fmmm. As for the formation energy from the elements: -0.618 eV/atom. Its crystal system is orthorhombic. Its total energy is -6.834 eV/atom.


DFT (PBE-GGA) results for crystalline CaP2O6 at its relaxed geometry.

The calculation puts the total moment at 0.00 Bohr magnetons per cell.

a b c (Å): 12.3003 12.3003 6.8460
angles (deg): 92.66 92.66 111.31
Element x y z (fractional)
Ca1 0.0558 0.9442 0.5000
Ca2 0.0625 0.4441 0.9952
Ca3 0.4355 0.5665 0.0066
Ca4 0.4441 0.0625 0.4952
Ca5 0.5548 0.9353 0.0109
Ca6 0.5665 0.4355 0.5066
Ca7 0.9353 0.5548 0.5109
Ca8 0.9442 0.0558 0.0000
P1 0.0964 0.2361 0.3728
P2 0.1257 0.7422 0.8363
P3 0.2361 0.0964 0.8728
P4 0.2421 0.5942 0.3602
P5 0.2544 0.9143 0.1576
P6 0.2778 0.4149 0.6287
P7 0.3706 0.7726 0.6733
P8 0.4149 0.2778 0.1287
P9 0.5942 0.2421 0.8602
P10 0.6302 0.7409 0.3310
P11 0.7409 0.6302 0.8310
P12 0.7422 0.1257 0.3363
P13 0.7636 0.8721 0.6908
P14 0.7726 0.3706 0.1733
P15 0.8721 0.7636 0.1908
P16 0.9143 0.2544 0.6576
*/

Written by Ericka Schwarm | May 24, 2024 3:10:30 PM

Does your vacation ownership company prefer to keep all owner services – including loan servicing – in-house? While many Concord clients appreciate the benefits of outsourcing loan servicing to Concord, the vacation ownership industry’s premier provider, many others who keep this function in-house are still able to rely on Concord’s expertise and technology. In fact, they can use the same state-of-the-art tools that Concord does, empowering them to manage their loan servicing with ease and control.


That’s right. Concord’s Platform as a Service (PaaS) model keeps vacation ownership companies firmly in the driver’s seat. Concord’s technology provides developers with all the tools they need to manage their portfolios how they want them managed. It’s a complete account receivables system that includes loan servicing, maintenance fee servicing and invoicing, a collections module, document custody, and multi-option reporting tools.

PaaS agreements allow customers to develop, run, and manage software without the complexity of building and maintaining the infrastructure typically associated with developing proprietary software. Through cloud technology, Concord’s platform provides the servers, storage methodology and other services to host developer accounts. In the current age of data insecurity and strict collections law, that’s an important distinction. The web platform operates under PCI DSS Level 1 standards and Concord has been audited and passed its SOC1 Type 2 review (an examination of a service organization's controls over financial reporting) and SOC 2 Type 2 review (an examination of how a service organization's cybersecurity systems and controls perform over time). In addition, the platform provides best practices and toolsets to transform the payment processing function and improve portfolio performance.”

Crystal structures from another source follow
'''
Below is Na3NbInSi2PO12 after structural relaxation, with properties calculated at the PBE-GGA level.

**E_form**: -2726.0 meV per atom

Unit cell a=15.8792 b=27.4380 c=9.0764 alpha=90.00 beta=125.25 gamma=90.00
With the nearest neighbours (Å) after each atom.
Sites, in units of the cell vectors:
Na 0.2530 0.2554 0.0069  6 O 2.37-2.64
Na 0.2454 0.5878 0.0157  5 O 2.34-2.57
Na 0.2475 0.9190 0.0167  6 O 2.37-2.64
Na 0.7530 0.2446 0.5069  6 O 2.37-2.64
Na 0.7475 0.5810 0.5167  6 O 2.37-2.64
Na 0.7454 0.9122 0.5157  5 O 2.34-2.57
Na 0.7454 0.0878 0.0157  5 O 2.34-2.57
Na 0.7475 0.4190 0.0167  6 O 2.37-2.64
Na 0.7530 0.7554 0.0069  6 O 2.37-2.64
Na 0.2475 0.0810 0.5167  6 O 2.37-2.64
Na 0.2454 0.4122 0.5157  5 O 2.34-2.57
Na 0.2530 0.7446 0.5069  6 O 2.37-2.64
Na 0.4940 0.0345 0.7524  4 O 2.37-2.45
Na 0.4965 0.3690 0.7584  5 O 2.39-2.67
Na 0.4936 0.7014 0.7498  4 O 2.43-2.51
Na 0.4936 0.2986 0.2498  4 O 2.43-2.51
Na 0.4965 0.6310 0.2584  5 O 2.39-2.67
Na 0.4940 0.9655 0.2524  4 O 2.37-2.45
Na 0.9936 0.2014 0.7498  4 O 2.43-2.51
Na 0.9940 0.5345 0.7524  4 O 2.37-2.45
Na 0.9965 0.8690 0.7584  5 O 2.39-2.67
Na 0.9965 0.1310 0.2584  5 O 2.39-2.67
Na 0.9940 0.4655 0.2524  4 O 2.37-2.45
Na 0.9936 0.7986 0.2498  4 O 2.43-2.51
Na 0.8184 0.6445 0.2054  5 O 2.45-2.73
Na 0.8178 0.9778 0.2105  4 O 2.35-2.61
Na 0.1936 0.3080 0.2840  3 O 2.34-2.51
Na 0.1936 0.6920 0.7840  3 O 2.34-2.51
Na 0.8178 0.0222 0.7105  4 O 2.35-2.61
Na 0.8184 0.3555 0.7054  5 O 2.45-2.73
Na 0.3184 0.1445 0.2054  5 O 2.45-2.73
Na 0.3178 0.4778 0.2105  4 O 2.35-2.61
Na 0.6936 0.8080 0.2840  3 O 2.34-2.51
Na 0.6936 0.1920 0.7840  3 O 2.34-2.51
Na 0.3178 0.5222 0.7105  4 O 2.35-2.61
Na 0.3184 0.8555 0.7054  5 O 2.45-2.73
Nb 0.1071 0.2475 0.5661  6 O 1.94-2.16
Nb 0.1051 0.5824 0.5660  6 O 1.96-2.15
Nb 0.1063 0.9168 0.5652  6 O 1.95-2.14
Nb 0.1063 0.0832 0.0652  6 O 1.95-2.14
Nb 0.1051 0.4176 0.0660  6 O 1.96-2.15
Nb 0.1071 0.7525 0.0661  6 O 1.94-2.16
Nb 0.6051 0.0824 0.5660  6 O 1.96-2.15
Nb 0.6063 0.4168 0.5652  6 O 1.95-2.14
Nb 0.6071 0.7475 0.5661  6 O 1.94-2.16
Nb 0.6071 0.2525 0.0661  6 O 1.94-2.16
Nb 0.6063 0.5832 0.0652  6 O 1.95-2.14
Nb 0.6051 0.9176 0.0660  6 O 1.96-2.15
In 0.9007 0.2511 0.9483  6 O 2.06-2.23
In 0.8961 0.5834 0.9369  6 O 2.05-2.22
In 0.8956 0.9149 0.9397  6 O 2.04-2.27
In 0.8956 0.0851 0.4397  6 O 2.04-2.27
In 0.8961 0.4166 0.4369  6 O 2.05-2.22
In 0.9007 0.7489 0.4483  6 O 2.06-2.23
In 0.3961 0.0834 0.9369  6 O 2.05-2.22
In 0.3956 0.4149 0.9397  6 O 2.04-2.27
In 0.4007 0.7511 0.9483  6 O 2.06-2.23
In 0.4007 0.2489 0.4483  6 O 2.06-2.23
In 0.3956 0.5851 0.4397  6 O 2.04-2.27
In 0.3961 0.9166 0.4369  6 O 2.05-2.22
Si 0.3486 0.2972 0.7475  4 O 1.61-1.68
Si 0.3515 0.6307 0.7576  4 O 1.59-1.69
Si 0.3505 0.9641 0.7531  4 O 1.58-1.72
Si 0.6470 0.3013 0.7420  4 O 1.61-1.69
Si 0.6466 0.6325 0.7400  4 O 1.59-1.72
Si 0.6469 0.9667 0.7416  4 O 1.60-1.72
Si 0.6469 0.0333 0.2416  4 O 1.60-1.72
Si 0.6466 0.3675 0.2400  4 O 1.59-1.72
Si 0.6470 0.6987 0.2420  4 O 1.61-1.69
'''
Back to the text

Traditionally, vacation ownership companies have had to choose between hiring an outside organization specializing in professional loan servicing or developing their own technology and systems. Says one developer who appreciates the hybrid approach offered by Concord, “It didn’t make sense for us to recreate what Concord had already built,” he says. “It was simple to train our staff to use the platform, and now we have all the tools we could ask for.”

The platform includes Concord’s Business Intelligence Tools (BITs), allowing developers to create detailed reports with the most valuable information. “You’re able to download the data and slice and dice it the way you want to,” the developer says. “We create custom charts and graphs to discover trends.”

PBE+U Li2MnFeB2O6, optimized geometry; distance to the lowest polymorph of the same formula = 0 meV per atom
1.0
-3.092 1.229 4.033
-3.329 -3.555 1.901
7.332 -3.597 6.518
Li O B Mn Fe
4 12 4 2 2
Cartesian
1.143 -2.498 7.081
2.767 -4.974 8.114
-2.589 -0.723 3.883
-0.735 -3.115 4.703
-3.238 -0.886 5.697
-2.396 -2.943 7.782
2.896 -1.790 6.674
-2.093 -4.168 5.711
4.101 -5.051 6.635
-4.836 -2.670 5.335
1.150 -4.453 7.001
5.584 -3.180 7.054
3.221 -2.878 4.535
3.058 -3.588 9.413
-1.949 -2.450 3.219
-0.032 -1.580 5.621
-2.625 -4.077 6.997
5.268 -4.345 6.349
-4.382 -1.593 6.094
3.532 -1.852 5.426
-0.793 -3.383 9.301
-0.185 -0.036 2.092
4.239 -2.296 8.417
-1.441 -1.227 7.018

=====

PBE+U Li4MnFe3B4O12, optimized geometry; distance to the lowest polymorph of the same formula = 3 meV per atom
1.0
0.591 -0.617 -5.110
-5.122 -2.326 2.100
-1.830 8.847 -1.307
O Fe B Mn Li
12 3 4 1 4
Cartesian
-1.598 0.150 -0.168
-4.466 3.978 -1.385
-3.237 -0.765 -3.284
-4.107 1.638 -0.893
-3.096 6.654 -1.039
-5.253 3.051 0.698
-2.257 4.258 -3.384
-3.987 -1.719 -1.194
-1.847 1.922 -2.924
-1.172 2.877 -5.039
-2.349 7.605 -3.131
-4.739 5.732 -4.148
-5.356 5.793 -1.031
-1.009 0.147 -3.316
-2.276 4.870 -1.396
-4.627 2.880 -0.543
-2.940 7.770 -1.872
-3.388 -1.876 -2.462
-1.751 3.039 -3.767
-4.152 1.057 -2.904
-4.293 4.032 -3.332
-2.717 5.988 -4.199
-2.086 1.870 -0.975
-3.630 -0.092 -0.106

=====

DFT (PBE+U) results for crystalline Li6Mn5FeB6O18 at its relaxed geometry.

Cell and atoms, written as POSCAR:
```
Li6Mn5FeB6O18
1.0
-0.582 1.225 2.880
-1.085 -7.630 3.027
13.948 -0.748 3.138
O B Mn Fe Li
18 6 5 1 6
Cartesian
0.151 -3.176 3.141
7.062 -5.291 3.679
4.231 -6.263 5.279
-0.372 -6.482 2.682
7.147 -3.057 2.745
9.449 -3.647 5.221
6.569 -7.343 6.211
1.956 -7.079 5.166
11.200 -5.018 6.158
1.931 -4.506 4.067
4.774 -0.834 3.079
12.576 -0.818 2.890
9.426 -1.059 4.115
5.055 -4.257 2.833
11.709 -2.813 5.323
2.389 -2.300 3.221
8.819 -6.489 6.303
0.658 -1.079 0.592
1.491 -3.328 3.477
3.295 -7.263 5.515
7.907 -7.507 6.551
-1.084 -7.630 3.027
6.421 -4.196 3.083
10.787 -3.827 5.568
1.698 -6.444 3.085
13.470 -3.531 4.225
10.562 -6.783 5.021
4.131 -2.589 1.936
9.214 -2.998 3.138
5.982 -6.949 4.166
1.521 -0.707 2.367
7.940 -4.909 5.453
6.580 -1.349 3.663
-0.936 -4.792 3.609
11.407 -1.037 4.507
3.899 -4.492 4.458
```

=====

DFT (PBE+U) results for crystalline Li8Mn7FeB8O24 at its relaxed geometry.

Cell and atoms, written as POSCAR:
```
Li8Mn7FeB8O24
1.0
-1.359 0.074 5.075
7.458 -3.071 1.931
1.793 11.992 0.163
O Li Mn B Fe
24 8 7 8 1
Cartesian
2.516 1.974 1.566
2.624 2.939 3.779
1.319 10.631 5.009
6.003 3.479 5.108
3.530 5.570 5.046
4.321 3.469 2.149
0.419 4.638 4.918
3.517 8.923 3.855
1.917 5.515 2.057
6.907 9.464 5.191
2.679 -0.466 4.940
5.207 6.060 3.384
4.483 1.029 5.525
5.386 7.016 5.597
0.982 -0.470 1.981
6.580 -1.636 2.164
7.478 4.364 2.247
7.548 0.969 3.414
3.423 7.948 1.647
-0.540 2.040 3.678
5.217 9.459 2.229
8.425 6.961 3.484
0.359 8.034 3.753
4.380 0.069 3.312
2.970 10.898 4.005

For clients that adopt the “DIY” approach, cost savings are part of the appeal. The pricing model is volume-based, so smaller developers don’t have big up-front fees and larger developers save on a per-account basis. This flexible and cost-effective approach ensures that your financial decisions are always in your control and beneficial for your business.

Of course, Concord also provides traditional loan servicing to clients who prefer that approach or have lenders that require it. No matter which approach is taken, Concord will leverage our expertise to help clients design their most desired and profitable business option.

Concord has the expertise to manage every aspect of your loan operations. As a leading loan servicer with more than 30 years of experience, we deliver compliant, flexible, and scalable solutions to meet your unique needs.

Contact us today at (866) 493-6393 or